Page 102 - DIVA_MY WORKS 1918-2022
P. 102
international international
Future Cities Need to be Circular,
and Circularity Requires Strong Urban Design Spiro Pollalis
Research Professor of Design Technology and Management
/ Harvard Design School, Harvard University, USA
Alexandre Hedjazi
Senior Lecturer, Institute for Environmental Sciences,
University of Geneva, Switzerland
Gulnara Roll
Secretary to the Committee on Urban Development,
Housing and Land Management, United Nations Economic
Commission for Europe, Geneva, Switzerland
Matteo Tarantino
Lecturer, University of Geneva, Switzerland
inhabitants. Establishing
participatory institutional
structures at city level, Sustainable buildings are another part circulate smoothly and ends up accumulating
setting up collective goals of the equation, when considered as an unused. Instead, smart design, with a long-
to support social and spatial integral component of the city and its term vision, must be applied. Urban data layers
justice, devising measures infrastructure systems, and not just as stand- must be designed to prioritize interoperability,
towards an inclusive and just economy, alone constructs. Sustainable buildings so that all current and future elements of
and promoting environmentally healthy by introducing environmentally friendly the infrastructure can make use of the data.
The impact of the COVID-19 pandemic ecosystems which support high quality solutions (retrofitting of the shells to lower Moreover, appropriate, coherent data cultures
on urban areas highlighted the importance living environment for inhabitants in cities, energy consumption, etc.), minimize their must be promoted across institutions and civil
of the global sustainability agenda. The are among the key actions to make cities consumption of natural resources and by that society to minimize friction between the data
**The page is interrupted by molecular data:**
********
[1]
A structure of composition C3H5NOS3 in a non-equilibrium geometry, computed with ωB97M-V with the def2-TZVPD basis set.

Element x y z (Å)
C1 0.97 0.03 2.06
C2 0.36 0.93 0.98
C3 -0.88 -0.69 -0.86
H1 2.88 1.06 2.01
H2 1.36 -1.04 1.99
H3 0.19 -0.02 2.73
H4 0.64 1.98 1.32
H5 0.89 -1.35 -1.47
N1 0.40 -0.64 -1.05
O1 2.10 1.05 2.64
S1 1.34 0.63 -0.63
S2 -1.84 -1.63 -1.75
S3 -1.27 0.60 0.28

For the orbital gap, the calculation gives 8.56 eV. For the LUMO energy, the calculation gives 0.1 eV. The relative energy (zero: lowest compared OMol25 entry of this formula, charge and spin) is 2.3117 eV. The calculation puts the HOMO energy at -0.3126 hartree.

[2]
An isolated molecule of C3H5NS in a non-equilibrium geometry, computed with ωB97M-V with the def2-TZVPD basis set.

Element x y z (Å)
C1 -1.26 0.32 -0.21
C2 -0.72 1.55 -0.10
C3 0.56 -1.12 0.25
N1 -0.51 -0.84 -0.42
S1 -2.78 -0.27 0.12
H1 0.32 1.81 -0.30
H2 -1.43 2.44 0.28
H3 0.76 -2.17 0.20
H4 0.88 -0.50 1.00
H5 -0.96 -1.51 -0.97

For the orbital gap, the calculation gives 6.31 eV. For the LUMO energy, the calculation gives -1.0 eV. The relative energy (zero: lowest compared OMol25 entry of this formula, charge and spin) is 2.5668 eV. The calculation puts the HOMO energy at -0.2691 hartree.

[3]
A structure of composition C3H5NS in a non-equilibrium geometry, computed with ωB97M-V with the def2-TZVPD basis set.

Element x y z (Å)
C1 0.22 -0.03 -0.26
C2 -0.52 -0.50 1.65
C3 0.37 0.48 -1.65
N1 -0.88 -0.47 0.23
S1 1.20 -0.07 1.20
H1 -1.21 0.13 2.20
H2 -0.51 -1.50 2.21
H3 0.81 1.46 -1.59
H4 -0.64 0.59 -1.98
H5 1.16 -0.09 -2.00

For the orbital gap, the calculation gives 9.84 eV. For the LUMO energy, the calculation gives 0.8 eV. The relative energy (zero: lowest compared OMol25 entry of this formula, charge and spin) is 1.2101 eV. The calculation puts the HOMO energy at -0.3328 hartree.

[4]
An isolated molecule of C3H5NS in a non-equilibrium geometry, computed with ωB97M-V with the def2-TZVPD basis set.

Element x y z (Å)
C1 -0.55 1.47 2.07
C2 0.12 -0.20 -1.52
C3 -0.24 -0.21 0.16
N1 -0.33 0.89 1.03
S1 -1.01 0.83 -2.41
H1 -0.52 2.47 2.42
H2 0.05 -1.23 -1.82
H3 1.13 0.21 -1.62
H4 0.55 -0.87 0.54
H5 -1.20 -0.73 0.15

For the orbital gap (alpha / beta), the calculation gives 4.56 / 4.56 eV. For the LUMO energy (alpha / beta), the calculation gives -2.1 / -2.1 eV. The relative energy (zero: lowest compared OMol25 entry of this formula, charge and spin) is 4.6577 eV. The calculation puts the HOMO energy (alpha / beta) at -0.2456 / -0.2456 hartree.

[5]
An isolated molecule of C3H5NS in a non-equilibrium geometry, computed with ωB97M-V with the def2-TZVPD basis set.

Element x y z (Å)
C1 1.04 0.17 -0.64
C2 0.40 -1.21 -0.77
C3 -1.04 -1.02 -0.16
H1 1.15 0.70 -1.51
H2 2.04 0.01 -0.12
H3 0.52 -1.48 -1.78
H4 0.80 -1.84 0.03
H5 -1.94 -1.56 -0.40
N1 -1.17 0.00 0.53
S1 0.20 1.03 0.59
********
**The molecular data stop here:**
global environmental degradation and its sustainable. contribute to the higher sustainability of the layer and the human component.
multi-faceted negative externalities are A prerequisite for the city sustainability is whole city infrastructure. The above notions lead us to the concept of
driven by unprecedented greenhouse gas sustainability of the city’s shell, the physical Planning of cities needs to be based upon sustainable circular cities. Since the city’s
emissions, depleting natural resources and and virtual construct that houses all urban sizable, robust data which through analysis and environmental footprint usually exceeds its
biodiversity loss, all compounded by a lack activities. The sustainability of the city’s shell evidence-based decision-making promotes the geographic one, the city usually “imports”
of coordinated planetary efforts to engage all is achieved by a coordinated and synergistic interconnection of the various components natural resources from its hinterland. The
relevant stakeholders in addressing the global approach to planning cities and their integrated of the city. Data enables productive feedback critical objective is to minimize the natural
environmental challenges. networks of sustainable infrastructure systems loops between the components. Almost all resource “imports”, maximize their utilization
While often identified as sources and spaces (including energy and communication grids, elements of urban infrastructure – from and minimize the waste. To attain these goals, it
of environmental degradation, cities can also the transport infrastructure, and the buildings). buildings, to waste management, to transport is necessary to transform the city infrastructure
be part of the solution and important actors Sound integrated city planning can reduce the infrastructures – can now be transformed into from net consumers to net producers of energy
in the transition towards sustainability. Across need for transport, increase the open spaces, data producers with reasonably low investment; and water and biodiversity. - It is essential
the wide range of urban contexts, our urban and provide quality space for living, working, the development of 5G connections also shows to use, reuse and recycle. Cities should be
future is anchored in sustainable retrofitting and entertainment. As such, planning can great promise. However, there are challenges conceived as self-contained systems with
strategies, both for cities which are centuries enable the integration of the infrastructure related to the data processing and use. These integrated infrastructure, including sewage
old as well as for the new cities which are built systems within the city’s fabric. Infrastructures, data layers are all too often left to develop by treatment plants and energy production, and
as smart, circular and sustainable. How can including transport, energy, water, sewage, themselves, juxtaposing and interconnecting with waste and sludge being fed into energy
this be done? food, solid waste, can be made sustainable by ad hoc initiatives by individual urban plants. Cities can optimize their economies
Cities are human-made constructs; they can be coordinating and optimizing their operations, institutions. This spontaneous approach and social structures along the same lines.
planned and designed for better quality of life carefully analyzing the demand, and selecting has financial advantages but, over time, This self-containment and integration strategy
while promoting environmental sustainability. the mode of service delivery enabled by the can lead to big problems. Chiefly, without a needs a transversal and cross-sector approach,
The outcome of cities’ sustainability agendas integrated infrastructure systems within the good design approach, cities end up with an as well as a healthy data layer, which is key to
depends on the active involvement of their city. overwhelming amount of data which cannot any effort to re-design or retrofit cities through
w w w. d i va i n t e r n at i o n a l . c h w w w. d i va i n t e r n at i o n a l . c h